_Source_
(1)
# MoPt

An optimized crystal structure of MoPt (PBE, Materials Project).

Results
Space group: Amm2
Energy of formation: -212 meV per atom
Volume: 15.59 Å³ per atom

a = 5.646 Å, b = 5.646 Å, c = 4.504 Å
α = 90.00°, β = 90.00°, γ = 119.67°
Atoms (fractional coordinates):
Mo 0.335 0.665 0.000
Mo 0.667 0.333 0.500
Mo 0.821 0.661 0.000
Mo 0.339 0.179 0.000
Pt 0.835 0.165 0.000
Pt 0.166 0.330 0.500
Pt 0.670 0.834 0.500
Pt 0.167 0.833 0.500

(2)
# MoPt2

An optimized crystal structure of MoPt2 (PBE, Materials Project).

Results
Space group: Immm
Energy of formation: -359 meV per atom
Volume: 15.47 Å³ per atom

a = 2.765 Å, b = 4.003 Å, c = 4.848 Å
α = 114.38°, β = 106.57°, γ = 90.00°
Atoms (fractional coordinates):
Mo 0.000 0.000 0.000
Pt 0.664 0.664 0.328
Pt 0.336 0.336 0.672

(3)
# MoPt

An optimized crystal structure of MoPt (PBE, Materials Project).

Results
Space group: P-6m2
Energy of formation: -160 meV per atom
Volume: 15.61 Å³ per atom

a = 2.821 Å, b = 2.821 Å, c = 4.527 Å
α = 90.00°, β = 90.00°, γ = 120.00°
Atoms (fractional coordinates):
Mo 0.667 0.333 0.000
Pt 0.333 0.667 0.500

~~~~~

(1)
# Te2MoW3Se4S2

An optimized crystal structure of Te2MoW3Se4S2 (PBE, the Materials Project database).

Values from the calculation:
* polymorph energy (0 for the lowest one): 0.0 kJ/mol of atoms
* M_tot: 0.000 μB per cell
* calculated total energy: -0.517 Ry/atom

Lattice parameters (Å, degrees): 3.339 3.339 38.749 90.00 90.00 120.00
Element x y z (fractional)
Te 0.333 0.667 0.331
Te 0.333 0.667 0.233
Mo 0.667 0.333 0.282
W 0.333 0.667 0.094
W 0.333 0.667 0.470
W 0.667 0.333 0.658
Se 0.333 0.667 0.701
Se 0.667 0.333 0.051
Se 0.667 0.333 0.137
Se 0.333 0.667 0.614
S 0.667 0.333 0.430
S 0.667 0.333 0.509

---

(2)
# Te2MoWSeS

An optimized crystal structure of Te2MoWSeS (PBE, the Materials Project database).

Values from the calculation:
* polymorph energy (0 for the lowest one): 0.0 kJ/mol of atoms
* M_tot: 0.000 μB per cell
* calculated total energy: -0.493 Ry/atom

Lattice parameters (Å, degrees): 3.393 3.393 38.768 90.00 90.00 120.00
Element x y z (fractional)
Te 0.000 0.000 0.706
Te 0.333 0.667 0.046
Te 0.333 0.667 0.142
Te 0.000 0.000 0.609
Mo 0.000 0.000 0.094
Mo 0.333 0.667 0.658
W 0.000 0.000 0.470
W 0.333 0.667 0.282
Se 0.333 0.667 0.427
Se 0.333 0.667 0.512
S 0.000 0.000 0.321
S 0.000 0.000 0.243

---

(3)
# Te2MoW3Se4S2

An optimized crystal structure of Te2MoW3Se4S2 (PBE, the Materials Project database).

Values from the calculation:
* polymorph energy (0 for the lowest one): 3.5 kJ/mol of atoms
* M_tot: 0.001 μB per cell
* calculated total energy: -0.514 Ry/atom

Lattice parameters (Å, degrees): 3.345 3.345 38.092 90.00 90.00 120.00
Element x y z (fractional)
Te 0.000 0.000 0.708
Te 0.000 0.000 0.607
Mo 0.000 0.000 0.470
W 0.000 0.000 0.094
W 0.333 0.667 0.282
W 0.333 0.667 0.658
Se 0.000 0.000 0.326
Se 0.333 0.667 0.050
Se 0.333 0.667 0.138
Se 0.000 0.000 0.238
S 0.333 0.667 0.430
S 0.333 0.667 0.509

---

(4)
# Te2MoW3Se4S2

An optimized crystal structure of Te2MoW3Se4S2 (PBE, the Materials Project database).

Values from the calculation:
* polymorph energy (0 for the lowest one): 2.1 kJ/mol of atoms
* M_tot: 0.003 μB per cell
* calculated total energy: -0.515 Ry/atom

Lattice parameters (Å, degrees): 3.341 3.341 38.722 90.00 90.00 120.00
Element x y z (fractional)
Te 0.000 0.000 0.331
Te 0.000 0.000 0.232
Mo 0.000 0.000 0.094
W 0.000 0.000 0.470
W 0.333 0.667 0.282
W 0.333 0.667 0.658
Se 0.333 0.667 0.050
Se 0.333 0.667 0.427
Se 0.333 0.667 0.137
Se 0.333 0.667 0.513
S 0.000 0.000 0.697
S 0.000 0.000 0.618

---

(5)
# TeMoWSe2S

An optimized crystal structure of TeMoWSe2S (PBE, the Materials Project database).

Values from the calculation:
* polymorph energy (0 for the lowest one): 3.6 kJ/mol of atoms
* M_tot: 0.007 μB per cell
* calculated total energy: -0.503 Ry/atom

Lattice parameters (Å, degrees): 3.346 3.346 38.115 90.00 90.00 120.00
Element x y z (fractional)
Te 0.333 0.667 0.708
Te 0.333 0.667 0.608

_Job_
What is needed: give back the whole of the data above character by character.

_Written answer_
(1)
# MoPt

An optimized crystal structure of MoPt (PBE, Materials Project).

Results
Space group: Amm2
Energy of formation: -212 meV per atom
Volume: 15.59 Å³ per atom

a = 5.646 Å, b = 5.646 Å, c = 4.504 Å
α = 90.00°, β = 90.00°, γ = 119.67°
Atoms (fractional coordinates):
Mo 0.335 0.665 0.000
Mo 0.667 0.333 0.500
Mo 0.821 0.661 0.000
Mo 0.339 0.179 0.000
Pt 0.835 0.165 0.000
Pt 0.166 0.330 0.500
Pt 0.670 0.834 0.500
Pt 0.167 0.833 0.500

(2)
# MoPt2

An optimized crystal structure of MoPt2 (PBE, Materials Project).

Results
Space group: Immm
Energy of formation: -359 meV per atom
Volume: 15.47 Å³ per atom

a = 2.765 Å, b = 4.003 Å, c = 4.848 Å
α = 114.38°, β = 106.57°, γ = 90.00°
Atoms (fractional coordinates):
Mo 0.000 0.000 0.000
Pt 0.664 0.664 0.328
Pt 0.336 0.336 0.672

(3)
# MoPt

An optimized crystal structure of MoPt (PBE, Materials Project).

Results
Space group: P-6m2
Energy of formation: -160 meV per atom
Volume: 15.61 Å³ per atom

a = 2.821 Å, b = 2.821 Å, c = 4.527 Å
α = 90.00°, β = 90.00°, γ = 120.00°
Atoms (fractional coordinates):
Mo 0.667 0.333 0.000
Pt 0.333 0.667 0.500

~~~~~

(1)
# Te2MoW3Se4S2

An optimized crystal structure of Te2MoW3Se4S2 (PBE, the Materials Project database).

Values from the calculation:
* polymorph energy (0 for the lowest one): 0.0 kJ/mol of atoms
* M_tot: 0.000 μB per cell
* calculated total energy: -0.517 Ry/atom

Lattice parameters (Å, degrees): 3.339 3.339 38.749 90.00 90.00 120.00
Element x y z (fractional)
Te 0.333 0.667 0.331
Te 0.333 0.667 0.233
Mo 0.667 0.333 0.282
W 0.333 0.667 0.094
W 0.333 0.667 0.470
W 0.667 0.333 0.658
Se 0.333 0.667 0.701
Se 0.667 0.333 0.051
Se 0.667 0.333 0.137
Se 0.333 0.667 0.614
S 0.667 0.333 0.430
S 0.667 0.333 0.509

---

(2)
# Te2MoWSeS

An optimized crystal structure of Te2MoWSeS (PBE, the Materials Project database).

Values from the calculation:
* polymorph energy (0 for the lowest one): 0.0 kJ/mol of atoms
* M_tot: 0.000 μB per cell
* calculated total energy: -0.493 Ry/atom

Lattice parameters (Å, degrees): 3.393 3.393 38.768 90.00 90.00 120.00
Element x y z (fractional)
Te 0.000 0.000 0.706
Te 0.333 0.667 0.046
Te 0.333 0.667 0.142
Te 0.000 0.000 0.609
Mo 0.000 0.000 0.094
Mo 0.333 0.667 0.658
W 0.000 0.000 0.470
W 0.333 0.667 0.282
Se 0.333 0.667 0.427
Se 0.333 0.667 0.512
S 0.000 0.000 0.321
S 0.000 0.000 0.243

---

(3)
# Te2MoW3Se4S2

An optimized crystal structure of Te2MoW3Se4S2 (PBE, the Materials Project database).

Values from the calculation:
* polymorph energy (0 for the lowest one): 3.5 kJ/mol of atoms
* M_tot: 0.001 μB per cell
* calculated total energy: -0.514 Ry/atom

Lattice parameters (Å, degrees): 3.345 3.345 38.092 90.00 90.00 120.00
Element x y z (fractional)
Te 0.000 0.000 0.708
Te 0.000 0.000 0.607
Mo 0.000 0.000 0.470
W 0.000 0.000 0.094
W 0.333 0.667 0.282
W 0.333 0.667 0.658
Se 0.000 0.000 0.326
Se 0.333 0.667 0.050
Se 0.333 0.667 0.138
Se 0.000 0.000 0.238
S 0.333 0.667 0.430
S 0.333 0.667 0.509

---

(4)
# Te2MoW3Se4S2

An optimized crystal structure of Te2MoW3Se4S2 (PBE, the Materials Project database).

Values from the calculation:
* polymorph energy (0 for the lowest one): 2.1 kJ/mol of atoms
* M_tot: 0.003 μB per cell
* calculated total energy: -0.515 Ry/atom

Lattice parameters (Å, degrees): 3.341 3.341 38.722 90.00 90.00 120.00
Element x y z (fractional)
Te 0.000 0.000 0.331
Te 0.000 0.000 0.232
Mo 0.000 0.000 0.094
W 0.000 0.000 0.470
W 0.333 0.667 0.282
W 0.333 0.667 0.658
Se 0.333 0.667 0.050
Se 0.333 0.667 0.427
Se 0.333 0.667 0.137
Se 0.333 0.667 0.513
S 0.000 0.000 0.697
S 0.000 0.000 0.618

---

(5)
# TeMoWSe2S

An optimized crystal structure of TeMoWSe2S (PBE, the Materials Project database).

Values from the calculation:
* polymorph energy (0 for the lowest one): 3.6 kJ/mol of atoms
* M_tot: 0.007 μB per cell
* calculated total energy: -0.503 Ry/atom

Lattice parameters (Å, degrees): 3.346 3.346 38.115 90.00 90.00 120.00
Element x y z (fractional)
Te 0.333 0.667 0.708
Te 0.333 0.667 0.608